Day 31 - Tax Expenditure Report?
Rep. Mike Morley (R - Spanish Fork) is sponsoring HB89 which requires the legislative fiscal analyst to submit an annual report of state and federal expenditures for financial assistance and services to low-income individuals and families. Click here to read more information about this good bill.
We've been hearing chatter that there will be an attempt to amend HB89 by requiring the state to generate a so-called "tax expenditure report".
What is a tax expenditure report?
Spending groups argue that tax exemptions, credits, deductions, and exclusions are really forms of government expenditures. In other words, if government lets taxpayers keep more of their own money by exempting 45% of a primary residence valuation from property tax, that is no different than if government had charged taxes on 100% of primary residence valuations and had appropriated increase for government programs.
A tax expenditure report would summarize all of the exemptions, credits, deductions, and exclusions and label these as government expenditures.
Is this a good idea?
A list of tax exemptions is not a bad idea. In fact, the Tax Commission already lists sales tax exemptions and reductions to individual income tax base in its annual report.
However, the problem with the "tax expenditure" idea is terminology. State and local tax exemptions are literally worth billions of dollars every year, whether it is the aforementioned 45% residential exemption or the exclusion of medical services from sales taxes or the deductibility of mortgage interest and charitable contributions from income taxes.
The piece is interrupted by calculated crystals:
- - -
No. 1
# TbNd2SmTl2 | Alexandria | PBE-GGA | optimized geometry
data_TbNd2SmTl2
_cell_length_a 5.2177
_cell_length_b 10.2466
_cell_length_c 6.9144
_cell_angle_alpha 90.00
_cell_angle_beta 90.00
_cell_angle_gamma 90.00
_space_group_name_H-M_alt 'P m c 21'
_space_group_IT_number 26
loop_
_space_group_symop_operation_xyz
'x,y,z'
'-x,-y,z+1/2'
'-x,y,z'
'x,-y,z+1/2'
loop_
_atom_site_label
_atom_site_fract_x
_atom_site_fract_y
_atom_site_fract_z
Tb1 0.0000 0.1848 0.0000
Nd1 0.0000 0.4562 0.3724
Nd2 0.5000 0.3161 0.6445
Sm1 0.5000 0.0425 0.2788
Tl1 0.0000 0.1290 0.5364
Tl2 0.5000 0.3570 0.1140
# * energy of formation: -0.272 eV per atom
# * total magnetic moment: 0.00 μB/cell

=====

No. 2
# Tb3Nd6Sm2Tm | Alexandria | PBE-GGA | optimized geometry
data_Tb3Nd6Sm2Tm
_cell_length_a 6.2936
_cell_length_b 10.9006
_cell_length_c 11.9524
_cell_angle_alpha 90.00
_cell_angle_beta 100.09
_cell_angle_gamma 90.00
_space_group_name_H-M_alt 'C 1 2/m 1'
_space_group_IT_number 12
loop_
_space_group_symop_operation_xyz
'x,y,z'
'-x,-y,-z'
'-x,y,-z'
'x,-y,z'
'x+1/2,y+1/2,z'
'-x+1/2,-y+1/2,-z'
'-x+1/2,y+1/2,-z'
'x+1/2,-y+1/2,z'
loop_
_atom_site_label
_atom_site_fract_x
_atom_site_fract_y
_atom_site_fract_z
Tb1 0.0000 0.0000 0.0000
Tb2 0.0000 0.3335 0.0000
Nd1 0.2487 0.5000 0.2490
Nd2 0.2502 0.1661 0.2495
Sm1 0.0000 0.1667 0.5000
Tm1 0.0000 0.5000 0.5000
# * energy of formation: 0.012 eV per atom
# * total magnetic moment: 0.00 μB/cell

=====

No. 3
# TbNd2Sm2Tm | Alexandria | PBE-GGA | optimized geometry
data_TbNd2Sm2Tm
_cell_length_a 7.0649
_cell_length_b 5.6953
_cell_length_c 9.8684
_cell_angle_alpha 90.00
_cell_angle_beta 90.00
_cell_angle_gamma 90.00
_space_group_name_H-M_alt 'P m m a'
_space_group_IT_number 51
loop_
_space_group_symop_operation_xyz
'x,y,z'
'-x,-y,-z'
'-x+1/2,-y,z'
'x+1/2,y,-z'
'x+1/2,-y,-z'
'-x+1/2,y,z'
'-x,y,-z'
'x,-y,z'
loop_
_atom_site_label
_atom_site_fract_x
_atom_site_fract_y
_atom_site_fract_z
Tb1 0.2500 0.0000 0.1574
Nd1 0.0000 0.0000 0.5000
Nd2 0.2500 0.5000 0.6783
Sm1 0.2500 0.0000 0.8309
Sm2 0.2500 0.5000 0.3372
Tm1 0.0000 0.5000 0.0000
# * energy of formation: 0.060 eV per atom
# * total magnetic moment: 0.00 μB/cell

=====

No. 4
# TbNd3Sm6Tm2 | Alexandria | PBE-GGA | optimized geometry
data_TbNd3Sm6Tm2
_cell_length_a 6.2622
_cell_length_b 10.8476
_cell_length_c 11.9607
_cell_angle_alpha 90.00
_cell_angle_beta 100.06
_cell_angle_gamma 90.00
_space_group_name_H-M_alt 'C 1 2/m 1'
_space_group_IT_number 12
loop_
_space_group_symop_operation_xyz
'x,y,z'
'-x,-y,-z'
'-x,y,-z'
'x,-y,z'
'x+1/2,y+1/2,z'
'-x+1/2,-y+1/2,-z'
'-x+1/2,y+1/2,-z'
'x+1/2,-y+1/2,z'
loop_
_atom_site_label
_atom_site_fract_x
_atom_site_fract_y
_atom_site_fract_z
Tb1 0.0000 0.0000 0.0000
Nd1 0.0000 0.1668 0.5000
Nd2 0.0000 0.5000 0.5000
Sm1 0.2483 0.5000 0.2452
Sm2 0.2492 0.1669 0.2453
Tm1 0.0000 0.3333 0.0000
# * energy of formation: 0.018 eV per atom
# * total magnetic moment: 0.00 μB/cell

=====

No. 5
# TbNd2Sm4Tm | Alexandria | PBE-GGA | optimized geometry
data_TbNd2Sm4Tm
- - -
While some of these deductions and exemptions are difficult to justify, calling these exemptions a "government expenditure" is problematic. Obviously, letting people keep their own money through deductions is not the same as if government had spent that money, mainly because reductions in tax bases are largely offset by increasing tax rates. Tax rates and tax bases are connected. For example, states that exempt food from sales taxes generally have higher sales tax rates.
Moreover, exemptions and credits allow individuals and businesses the discretion to spend their money how they want, whether it means buying a bigger house and getting a larger property tax break in absolute dollar amounts or spending more on charitable contributions and getting a bigger income tax break (Of course, they could do both). Individual taxpayers would lose this discretion if these exemptions were eliminated and government spent the difference, which could explain some of the motivation behind the tax expenditure report in the first place.
While some of these exemptions negatively distort economic decision making and/or do not promote economic growth as well as an overall rate reduction would, the discretion of taxpayers to spend dollars due to tax exemptions clearly disqualifies these dollars as government expenditures.
We've generally supported broad tax bases (and lower tax rates), but we've never argued that reductions in tax bases are the same as if the state had actually spent these dollars directly in government programs. By lowering tax rates as bases are broadened, taxpayers continue to have the freedom to spend their money as they see fit.
This is really a philosophical debate. Whose money is it: government's or taxpayers'?
Conservatives look at money as belonging to people and then government takes a portion.
Liberals look at money as belonging to government and then government allows people to take a portion.
Posted by
Anonymous |
9:17 AM